## What to do
Your job: restate only the last part of the lines further down, starting with the line that has "-0.1227 0.50".

## Excerpt
<<<
This record from the OMol25 dataset describes 10 unconnected molecules or ions with the total composition C62H143N9O10 in a non-equilibrium geometry. The level of theory is wB97M-V/def2-TZVPD.

```
224
Properties=species:S:1:pos:R:3:mulliken_charge:R:1
C 0.0685 -2.1160 -4.8943 -1.97
C 0.9107 -0.8888 -5.1554 2.45
C 0.3343 0.4290 -4.4514 -1.95
C 2.2767 -1.2411 -4.4574 -1.02
C 3.3890 -0.2053 -4.5633 -0.82
C 3.6893 0.0169 -6.0513 -1.37
C 2.4249 0.2568 -6.9342 1.28
C 1.9189 1.7229 -6.8174 -1.67
C 2.7630 0.0394 -8.4671 -1.93
N 1.2934 -0.6374 -6.5624 0.42
O 0.2047 -0.5730 -7.4617 -0.47
H 0.1666 -2.9922 -5.5353 0.47
H 0.1385 -2.3856 -3.8405 -0.04
H -0.9318 -1.8355 -5.2242 0.60
H -0.2978 0.9435 -5.1751 0.67
H -0.3847 0.1891 -3.6681 0.44
H 1.0554 1.0931 -3.9748 0.22
H 2.1828 -1.5282 -3.4101 -0.34
H 2.6498 -2.1844 -4.8565 0.69
H 3.1284 0.6957 -4.0080 0.39
H 4.3189 -0.5032 -4.0789 0.33
H 4.1421 -0.8880 -6.4565 0.41
H 4.4817 0.7446 -6.2260 0.49
H 1.0868 1.9430 -7.4860 0.36
H 2.7446 2.3050 -7.2267 0.49
H 1.7310 2.0747 -5.8030 0.30
H 3.5727 0.7114 -8.7515 0.39
H 1.8395 0.1254 -9.0397 0.43
H 2.9651 -1.0086 -8.6886 0.43
H 0.2520 -1.4647 -7.8143 0.34
C -3.2370 -7.3782 -0.2068 -2.51
C -2.3827 -6.1680 -0.1993 2.31
C -3.1912 -4.8714 -0.4759 -1.38
C -1.6246 -6.0445 1.1367 -1.52
C -0.5248 -5.0250 1.0070 -0.76
C 0.5087 -5.4842 -0.0042 0.01
C -0.1177 -5.8060 -1.4476 1.79
C -0.1674 -4.5649 -2.3719 -0.76
C 0.8303 -6.7976 -2.1688 -1.96
N -1.5031 -6.4125 -1.3490 0.31
O -2.1423 -6.6646 -2.5440 -0.49
H -2.7218 -8.3387 -0.1999 0.47
H -3.7959 -7.4265 0.7278 0.46
H -4.0534 -7.2794 -0.9222 0.56
H -3.8394 -4.9280 -1.3503 -0.14
H -3.8334 -4.6906 0.3861 0.61
H -2.5647 -3.9902 -0.6141 -0.05
H -2.3398 -5.6396 1.8527 0.50
H -1.3349 -7.0012 1.5714 0.26
H -0.8951 -4.0241 0.7853 0.10
H -0.1046 -5.0062 2.0126 0.52
H 0.9661 -6.3769 0.4222 0.57
H 1.3111 -4.7548 0.1063 -0.57
H 0.6834 -3.9160 -2.1646 -0.59
H -1.1083 -4.1029 -2.0731 0.34
H -0.3577 -4.8850 -3.3963 0.40
H 1.8552 -6.4273 -2.1435 0.24
H 0.6164 -7.0488 -3.2076 0.34
H 0.8058 -7.7482 -1.6360 0.55
H -2.4939 -7.5175 -2.2786 0.43
C 5.4088 -3.2450 -2.2613 -1.69
C 4.8102 -3.3865 -0.8678 1.53
C 3.5200 -2.5066 -0.8113 -0.42
C 4.2449 -4.7907 -0.5355 -0.69
C 5.2300 -5.8686 -0.3483 -1.06
C 6.1911 -5.4655 0.7820 -1.49
C 6.7286 -3.9837 0.6892 1.53
C 7.1689 -3.6723 2.1489 -2.06
C 7.9492 -4.0287 -0.2524 -1.82
N 5.7135 -3.0127 0.2207 1.47
O 6.1011 -1.6532 0.2946 -0.53
H 6.1071 -2.4098 -2.3155 0.34
H 5.9884 -4.1526 -2.4296 0.37
H 4.6776 -3.2325 -3.0696 0.27
H 2.6672 -3.0097 -1.2670 -0.70
H 3.1969 -2.3661 0.2202 -0.09
H 3.6594 -1.5412 -1.2979 0.41
H 3.5507 -4.8640 0.3016 0.24
H 3.6967 -5.1105 -1.4217 0.04
H 4.7318 -6.8115 -0.1227 0.50
H 5.8542 -6.0273 -1.2277 0.33
H 6.9971 -6.1576 1.0258 0.40
H 5.5109 -5.3338 1.6235 0.48
H 7.9366 -4.4093 2.3847 0.55
H 6.4065 -3.6099 2.9254 0.23
H 7.6413 -2.7050 2.3199 0.44
H 8.8310 -4.1134 0.3828 0.55
H 8.1404 -3.2114 -0.9478 0.20
H 7.9473 -4.9081 -0.8964 0.33
H 5.6070 -1.4131 1.0819 0.37
C 3.2104 6.0939 3.0957 -1.62
C 1.8033 5.8104 2.4377 1.74
C 1.7939 4.3690 1.8582 -1.73
C 0.6880 5.8538 3.5417 0.01
C 0.1540 7.2761 3.9373 -0.83
C -0.2330 8.0041 2.6669 -1.59
C 0.9244 8.0309 1.4891 1.65
C 0.2664 8.5003 0.1325 -1.91
C 1.9378 9.1199 1.9878 -1.88
N 1.5435 6.7290 1.2943 1.00
O 2.6117 6.7942 0.4464 -0.58
H 3.9797 5.9193 2.3434 0.40
H 3.3052 7.1560 3.3219 0.38
H 3.2713 5.4848 3.9976 0.31
H 2.6034 4.3444 1.1287 0.55
H 1.9702 3.5208 2.5197 0.00
H 0.8977 4.1389 1.2821 0.07
H -0.1660 5.2350 3.2663 0.00
H 1.1471 5.5620 4.4862 -0.25
H -0.7164 7.2970 4.5930 0.13
H 0.9400 7.8182 4.4630 0.54
H -0.3731 9.0377 2.9834 0.43
H -1.2569 7.6998 2.4496 0.38
H -0.6108 7.9006 -0.1103 0.30
H 0.8853 8.5129 -0.7647 0.44
H -0.1187 9.5173 0.2075 0.45
H 2.0087 9.1867 3.0734 0.35
H 1.6956 10.1136 1.6110 0.41
H 2.9513 8.9010 1.6516 0.37
H 2.1882 6.6177 -0.3969 0.38
C -6.6936 -0.4567 -1.0007 -1.88
C -6.8662 -1.4785 -2.1778 1.98
C -6.3402 -0.8365 -3.3899 -1.86
C -5.9401 -2.7157 -1.9192 -1.37
C -6.2497 -3.9335 -2.8274 -0.24
>>>

## Written answer
H 4.7318 -6.8115 -0.1227 0.50
H 5.8542 -6.0273 -1.2277 0.33
H 6.9971 -6.1576 1.0258 0.40
H 5.5109 -5.3338 1.6235 0.48
H 7.9366 -4.4093 2.3847 0.55
H 6.4065 -3.6099 2.9254 0.23
H 7.6413 -2.7050 2.3199 0.44
H 8.8310 -4.1134 0.3828 0.55
H 8.1404 -3.2114 -0.9478 0.20
H 7.9473 -4.9081 -0.8964 0.33
H 5.6070 -1.4131 1.0819 0.37
C 3.2104 6.0939 3.0957 -1.62
C 1.8033 5.8104 2.4377 1.74
C 1.7939 4.3690 1.8582 -1.73
C 0.6880 5.8538 3.5417 0.01
C 0.1540 7.2761 3.9373 -0.83
C -0.2330 8.0041 2.6669 -1.59
C 0.9244 8.0309 1.4891 1.65
C 0.2664 8.5003 0.1325 -1.91
C 1.9378 9.1199 1.9878 -1.88
N 1.5435 6.7290 1.2943 1.00
O 2.6117 6.7942 0.4464 -0.58
H 3.9797 5.9193 2.3434 0.40
H 3.3052 7.1560 3.3219 0.38
H 3.2713 5.4848 3.9976 0.31
H 2.6034 4.3444 1.1287 0.55
H 1.9702 3.5208 2.5197 0.00
H 0.8977 4.1389 1.2821 0.07
H -0.1660 5.2350 3.2663 0.00
H 1.1471 5.5620 4.4862 -0.25
H -0.7164 7.2970 4.5930 0.13
H 0.9400 7.8182 4.4630 0.54
H -0.3731 9.0377 2.9834 0.43
H -1.2569 7.6998 2.4496 0.38
H -0.6108 7.9006 -0.1103 0.30
H 0.8853 8.5129 -0.7647 0.44
H -0.1187 9.5173 0.2075 0.45
H 2.0087 9.1867 3.0734 0.35
H 1.6956 10.1136 1.6110 0.41
H 2.9513 8.9010 1.6516 0.37
H 2.1882 6.6177 -0.3969 0.38
C -6.6936 -0.4567 -1.0007 -1.88
C -6.8662 -1.4785 -2.1778 1.98
C -6.3402 -0.8365 -3.3899 -1.86
C -5.9401 -2.7157 -1.9192 -1.37
C -6.2497 -3.9335 -2.8274 -0.24